What to do:
It remains to repeat the lines below up to the one that holds "3.051 -4.658", that line included.

Material:
********
# 1
This record from Materials Project describes crystalline Mn6OF11 at its relaxed geometry. The functional is PBE with a Hubbard U.

Computed properties:
space group = No. 1
raw total energy = -116.26 eV per formula unit
magnetization = 58.0 Bohr magnetons per cell
energy above the most stable polymorph in this dataset = 13 meV/atom
crystal system = triclinic

Structure (POSCAR):
```
Mn6OF11
1.0
4.968 0.000 0.000
0.014 5.889 0.000
0.052 0.094 16.179
Mn O F
12 2 22
direct
0.000 0.000 0.000
0.000 0.342 0.167
0.004 0.341 0.830
0.018 0.357 0.487
0.026 0.989 0.327
0.479 0.527 0.333
0.486 0.836 0.171
0.499 0.823 0.492
0.502 0.504 0.998
0.503 0.500 0.662
0.503 0.845 0.830
0.997 0.005 0.659
0.287 0.765 0.279
0.300 0.575 0.439
0.223 0.283 0.603
0.231 0.068 0.770
0.232 0.069 0.441
0.235 0.067 0.108
0.235 0.276 0.940
0.238 0.270 0.275
0.266 0.567 0.107
0.271 0.777 0.940
0.275 0.568 0.772
0.282 0.782 0.603
0.716 0.548 0.229
0.723 0.780 0.061
0.734 0.570 0.888
0.736 0.776 0.719
0.748 0.566 0.554
0.752 0.795 0.392
0.758 0.058 0.546
0.761 0.301 0.380
0.770 0.274 0.720
0.773 0.067 0.889
0.777 0.282 0.056
0.781 0.055 0.220
```

# 2
This record from Materials Project describes crystalline Mn6OF11 at its relaxed geometry. The functional is PBE with a Hubbard U.

Computed properties:
space group = No. 4
raw total energy = -116.30 eV per formula unit
magnetization = 58.0 Bohr magnetons per cell
energy above the most stable polymorph in this dataset = 11 meV/atom
crystal system = monoclinic

Structure (POSCAR):
```
Mn6OF11
1.0
5.907 0.000 0.000
0.000 4.933 0.000
-0.111 0.000 16.236
Mn O F
12 2 22
direct
0.074 0.000 0.072
0.079 0.992 0.753
0.082 0.995 0.416
0.397 0.988 0.920
0.413 0.987 0.244
0.420 0.995 0.585
0.580 0.495 0.415
0.587 0.487 0.756
0.603 0.488 0.080
0.918 0.495 0.584
0.921 0.492 0.247
0.926 0.500 0.928
0.122 0.786 0.972
0.878 0.286 0.028
0.130 0.206 0.183
0.143 0.767 0.642
0.146 0.227 0.526
0.146 0.240 0.859
0.147 0.760 0.305
0.351 0.763 0.132
0.353 0.224 0.355
0.355 0.228 0.695
0.356 0.765 0.474
0.364 0.773 0.807
0.370 0.229 0.026
0.630 0.729 0.974
0.636 0.273 0.193
0.644 0.265 0.526
0.645 0.728 0.305
0.647 0.724 0.645
0.649 0.263 0.868
0.853 0.260 0.695
0.854 0.727 0.474
0.854 0.740 0.141
0.857 0.267 0.358
0.870 0.706 0.817
```

# 3
This record from Materials Project describes crystalline Mn3O4F2 at its relaxed geometry. The functional is PBE with a Hubbard U.

Computed properties:
space group = No. 14
raw total energy = -61.57 eV per formula unit
magnetization = 22.0 Bohr magnetons per cell
energy above the most stable polymorph in this dataset = 21 meV/atom
crystal system = monoclinic

Structure (POSCAR):
```
Mn3O4F2
1.0
4.627 0.000 0.000
0.000 4.613 0.000
-4.594 0.000 9.189
Mn O F
6 8 4
direct
0.000 0.000 0.000
0.000 0.500 0.500
0.310 0.020 0.340
0.310 0.480 0.840
0.690 0.520 0.160
0.690 0.980 0.660
0.020 0.177 0.830
0.020 0.323 0.330
0.309 0.692 0.001
0.309 0.808 0.501
0.691 0.192 0.499
0.691 0.308 0.999
0.980 0.677 0.670
0.980 0.823 0.170
0.382 0.221 0.179
0.382 0.279 0.679
0.618 0.721 0.321
0.618 0.779 0.821
```

Number 1 is which compound?
Mn6OF11

What is the formula in the first record?
Mn6OF11

Which of these has the highest raw total energy?
Mn3O4F2

* * * * *

16
Lattice="-0.018 -5.384 7.187 2.123 -3.208 -2.398 4.006 1.694 1.279" Properties=species:S:1:pos:R:3 comment="CaMg6SnO8 | the Materials Project | GGA-PBE | relaxed" relative_energy_ev_per_atom=0.0000 rho_g_cm3=3.89 dft_energy_ev_per_atom=-5.79 pbc="T T T"
Ca 0.000 0.000 0.000
Mg -0.009 -2.692 3.594
Mg 3.055 -3.449 3.034
Mg 1.998 -0.598 2.569
Mg 1.989 -3.092 5.897
Mg 1.056 -3.049 0.730
Mg 1.048 -5.543 4.059
Sn 3.064 -0.757 -0.559
O -0.005 -1.436 1.917
O -0.013 -3.948 5.271
O 3.059 -2.240 1.421
O 3.051 -4.658 4.648
O 2.003 0.847 0.640
O 1.994 -1.845 4.233
O 1.061 -1.604 -1.199
O 1.052 -4.296 2.394

* * * * *

The following is a PBE calculation of a geometry-optimized GdGe2Rh2 structure, from the Materials Project.

extended XYZ file:
```
5
********

Outcome:
# 1
This record from Materials Project describes crystalline Mn6OF11 at its relaxed geometry. The functional is PBE with a Hubbard U.

Computed properties:
space group = No. 1
raw total energy = -116.26 eV per formula unit
magnetization = 58.0 Bohr magnetons per cell
energy above the most stable polymorph in this dataset = 13 meV/atom
crystal system = triclinic

Structure (POSCAR):
```
Mn6OF11
1.0
4.968 0.000 0.000
0.014 5.889 0.000
0.052 0.094 16.179
Mn O F
12 2 22
direct
0.000 0.000 0.000
0.000 0.342 0.167
0.004 0.341 0.830
0.018 0.357 0.487
0.026 0.989 0.327
0.479 0.527 0.333
0.486 0.836 0.171
0.499 0.823 0.492
0.502 0.504 0.998
0.503 0.500 0.662
0.503 0.845 0.830
0.997 0.005 0.659
0.287 0.765 0.279
0.300 0.575 0.439
0.223 0.283 0.603
0.231 0.068 0.770
0.232 0.069 0.441
0.235 0.067 0.108
0.235 0.276 0.940
0.238 0.270 0.275
0.266 0.567 0.107
0.271 0.777 0.940
0.275 0.568 0.772
0.282 0.782 0.603
0.716 0.548 0.229
0.723 0.780 0.061
0.734 0.570 0.888
0.736 0.776 0.719
0.748 0.566 0.554
0.752 0.795 0.392
0.758 0.058 0.546
0.761 0.301 0.380
0.770 0.274 0.720
0.773 0.067 0.889
0.777 0.282 0.056
0.781 0.055 0.220
```

# 2
This record from Materials Project describes crystalline Mn6OF11 at its relaxed geometry. The functional is PBE with a Hubbard U.

Computed properties:
space group = No. 4
raw total energy = -116.30 eV per formula unit
magnetization = 58.0 Bohr magnetons per cell
energy above the most stable polymorph in this dataset = 11 meV/atom
crystal system = monoclinic

Structure (POSCAR):
```
Mn6OF11
1.0
5.907 0.000 0.000
0.000 4.933 0.000
-0.111 0.000 16.236
Mn O F
12 2 22
direct
0.074 0.000 0.072
0.079 0.992 0.753
0.082 0.995 0.416
0.397 0.988 0.920
0.413 0.987 0.244
0.420 0.995 0.585
0.580 0.495 0.415
0.587 0.487 0.756
0.603 0.488 0.080
0.918 0.495 0.584
0.921 0.492 0.247
0.926 0.500 0.928
0.122 0.786 0.972
0.878 0.286 0.028
0.130 0.206 0.183
0.143 0.767 0.642
0.146 0.227 0.526
0.146 0.240 0.859
0.147 0.760 0.305
0.351 0.763 0.132
0.353 0.224 0.355
0.355 0.228 0.695
0.356 0.765 0.474
0.364 0.773 0.807
0.370 0.229 0.026
0.630 0.729 0.974
0.636 0.273 0.193
0.644 0.265 0.526
0.645 0.728 0.305
0.647 0.724 0.645
0.649 0.263 0.868
0.853 0.260 0.695
0.854 0.727 0.474
0.854 0.740 0.141
0.857 0.267 0.358
0.870 0.706 0.817
```

# 3
This record from Materials Project describes crystalline Mn3O4F2 at its relaxed geometry. The functional is PBE with a Hubbard U.

Computed properties:
space group = No. 14
raw total energy = -61.57 eV per formula unit
magnetization = 22.0 Bohr magnetons per cell
energy above the most stable polymorph in this dataset = 21 meV/atom
crystal system = monoclinic

Structure (POSCAR):
```
Mn3O4F2
1.0
4.627 0.000 0.000
0.000 4.613 0.000
-4.594 0.000 9.189
Mn O F
6 8 4
direct
0.000 0.000 0.000
0.000 0.500 0.500
0.310 0.020 0.340
0.310 0.480 0.840
0.690 0.520 0.160
0.690 0.980 0.660
0.020 0.177 0.830
0.020 0.323 0.330
0.309 0.692 0.001
0.309 0.808 0.501
0.691 0.192 0.499
0.691 0.308 0.999
0.980 0.677 0.670
0.980 0.823 0.170
0.382 0.221 0.179
0.382 0.279 0.679
0.618 0.721 0.321
0.618 0.779 0.821
```

Number 1 is which compound?
Mn6OF11

What is the formula in the first record?
Mn6OF11

Which of these has the highest raw total energy?
Mn3O4F2

* * * * *

16
Lattice="-0.018 -5.384 7.187 2.123 -3.208 -2.398 4.006 1.694 1.279" Properties=species:S:1:pos:R:3 comment="CaMg6SnO8 | the Materials Project | GGA-PBE | relaxed" relative_energy_ev_per_atom=0.0000 rho_g_cm3=3.89 dft_energy_ev_per_atom=-5.79 pbc="T T T"
Ca 0.000 0.000 0.000
Mg -0.009 -2.692 3.594
Mg 3.055 -3.449 3.034
Mg 1.998 -0.598 2.569
Mg 1.989 -3.092 5.897
Mg 1.056 -3.049 0.730
Mg 1.048 -5.543 4.059
Sn 3.064 -0.757 -0.559
O -0.005 -1.436 1.917
O -0.013 -3.948 5.271
O 3.059 -2.240 1.421
O 3.051 -4.658 4.648